The 10 things I learned in the trenches of the Worm Wars

If you have no idea what I’m talking about, either count yourself lucky or see yesterday’s post. The rest of you, carry on.

  1. One of the things I love about the Internet is that it brought a lot of very smart people to a key intellectual problem, the discussion brought out the central assumptions and claims, and they were answered within about a day or two. See Berk Ozler, for example. My conclusion is that the Kenya deworming results are relatively robust. Yay hive mind.
  2. On the other hand, the hive mind has a tendency to be grumpy, rude, shrill and angry. I found the debate more dignified than some, but vicious at times.
  3. I am guilty as well. I was too quick to suspect and insinuate bad faith on the part of the replicators. I can hold suspicions but I shouldn’t publicly insinuate or accuse without grounds. I am sorry for that.
  4. I do find any big, coordinated media push of a scientific finding to be problematic, to say the least. This drove and drives my suspicion of bias, even if accidental.
  5. To me the big failure in this entire business was by the editor of the academic journal. The competing claims on whether or not the results are fragile or not, and why, should never have been allowed to remain ambiguous.
  6. To me, a glitzy media push undermined the credibility and intentions of the journal further. This is a general problem in medicine and hard science that I do not see as much in social science (where the journals could care less about news coverage).
  7. On the journalist side, I can’t blame any of the writers for not following the finer statistical points. I had trouble myself. But almost none of the journalists read the reply by Miguel and Kremer (published by the same journal) and maybe none called Miguel or Kremer on the phone. I am told I was the first. Tell me if I’m wrong, but isn’t this the definition of sloppy journalism?
  8. I think the deworm the world movement has also tended to exaggerate or selectively quote the evidence in order to justify the cause. GiveWell has a much more balanced account: the evidence is not that great, but it’s good enough. Sort of. I thought GiveWell had one of the best posts. Do read it.
  9. To me, the real tragedy is that, 18 years after the Kenya deworming experiment (which was not even a real experiment) we do not have large-scale, randomized, multi-country, long-term evidence on the health, education, and labor market impacts of deworming medicine. This is not some schmuck cause. This is touted as one of the most promising development interventions in human history.
  10. I also fear for the reputation of replications in development economics. I imagine some of the problems could be addressed by getting more clarity into pre-analysis plans for replications. But the incentives to make mountains out of molehills is huge. Maybe everyone should sign a “no glitzy media push” pledge.

Okay, I am DONE with worms.

6 Responses

[Misplaced materials data]
********
No. 1
## FeBW (PBE)

Data for a relaxed structure of FeBW.

a b c (Å): 5.784 3.216 6.740
angles (deg): 90.00 90.00 90.00
Fractional coordinates of all 12 atoms:
Fe1 0.143 0.250 0.057
Fe2 0.357 0.750 0.557
Fe3 0.643 0.250 0.443
Fe4 0.857 0.750 0.943
B1 0.233 0.750 0.867
B2 0.267 0.250 0.367
B3 0.733 0.750 0.633
B4 0.767 0.250 0.133
W1 0.030 0.250 0.676
W2 0.470 0.750 0.176
W3 0.530 0.250 0.824
W4 0.970 0.750 0.324

Values from the calculation:
- E (eV/atom) = -9.733
- volume (Å³ per cell) = 125.4
- calculated formation energy (eV per atom) = -0.363

No. 2
## FeB2W2 (PBE)

Data for a relaxed structure of FeB2W2.

a b c (Å): 3.178 4.584 7.167
angles (deg): 90.00 90.00 90.00
Fractional coordinates of all 10 atoms:
Fe1 0.000 0.000 0.000
Fe2 0.500 0.500 0.500
B1 0.000 0.206 0.500
B2 0.000 0.794 0.500
B3 0.500 0.294 0.000
B4 0.500 0.706 0.000
W1 0.000 0.500 0.203
W2 0.000 0.500 0.797
W3 0.500 0.000 0.297
W4 0.500 0.000 0.703

Values from the calculation:
- E (eV/atom) = -9.976
- volume (Å³ per cell) = 104.4
- calculated formation energy (eV per atom) = -0.427

No. 3
## Fe22B6W (PBE)

Data for a relaxed structure of Fe22B6W.

a b c (Å): 7.503 7.503 7.503
angles (deg): 60.00 60.00 60.00
Fractional coordinates of all 29 atoms:
Fe1 0.000 0.000 0.000
Fe2 0.000 0.000 0.342
Fe3 0.000 0.000 0.658
Fe4 0.000 0.342 0.000
Fe5 0.000 0.342 0.658
Fe6 0.000 0.658 0.000
Fe7 0.000 0.658 0.342
Fe8 0.149 0.617 0.617
Fe9 0.250 0.250 0.250
Fe10 0.342 0.000 0.000
Fe11 0.342 0.000 0.658
Fe12 0.342 0.658 0.000
Fe13 0.380 0.380 0.380
Fe14 0.380 0.380 0.859
Fe15 0.380 0.859 0.380
Fe16 0.617 0.149 0.617
Fe17 0.617 0.617 0.149
Fe18 0.617 0.617 0.617
Fe19 0.658 0.000 0.000
Fe20 0.658 0.000 0.342
Fe21 0.658 0.342 0.000
Fe22 0.859 0.380 0.380
B1 0.276 0.276 0.724
B2 0.276 0.724 0.276
B3 0.276 0.724 0.724
B4 0.724 0.276 0.276
B5 0.724 0.276 0.724
B6 0.724 0.724 0.276
W1 0.750 0.750 0.750

Values from the calculation:
- E (eV/atom) = -8.303
- volume (Å³ per cell) = 298.7
- calculated formation energy (eV per atom) = -0.049

No. 4
## FeB2W2 (PBE)

Data for a relaxed structure of FeB2W2.

a b c (Å): 5.691 5.691 3.234
angles (deg): 90.00 90.00 90.00
Fractional coordinates of all 10 atoms:
Fe1 0.000 0.000 0.000
Fe2 0.500 0.500 0.000
B1 0.116 0.384 0.000
B2 0.384 0.884 0.000
B3 0.616 0.116 0.000
B4 0.884 0.616 0.000
W1 0.178 0.678 0.500
W2 0.322 0.178 0.500
W3 0.678 0.822 0.500
W4 0.822 0.322 0.500

Values from the calculation:
- E (eV/atom) = -9.926
- volume (Å³ per cell) = 104.7
- calculated formation energy (eV per atom) = -0.377

No. 5
## Y2Fe14B (PBE)

Data for a relaxed structure of Y2Fe14B.

a b c (Å): 8.736 8.736 11.920
angles (deg): 90.00 90.00 90.00
Fractional coordinates of all 68 atoms:
Y1 0.143 0.143 0.000
Y2 0.233 0.233 0.500
Y3 0.267 0.733 0.000
Y4 0.357 0.643 0.500
Y5 0.643 0.357 0.500
Y6 0.733 0.267 0.000
Y7 0.767 0.767 0.500
Y8 0.857 0.857 0.000
Fe1 0.000 0.000 0.384
Fe2 0.000 0.000 0.616
Fe3 0.000 0.500 0.000
Fe4 0.000 0.500 0.500
Fe5 0.037 0.641 0.175
********

  1. Thanks Chris for the great and constructive reporting – as always!

    There is one key point that we should not lose track of in this discussion. Of course debating the robustness of the evidence is great and really important. At the same time, we have to remember that most current development policies are based on zero or very meager rigorous evidence. So the alternative of governments in Kenya and India, for example, implementing deworming would not be for them to spend that money on a policy for which there is more or better evidence, but on a policy for which there is less.

    The policy relevant question is this: is there another intervention out there, for which we have good evidence that they will provide stronger benefits on education and future earnings than deworming?

    Ps. Even if so, governments should probably implement both that other policy and deworming, and reduce another policy for which there is weak evidence.

  2. I love the idea that we would spend any time NOT treating children for fricking WORMS living IN THEIR BODIES.

    I mean . . . yeah.